Activity:
Please return the lines below from the first line to the one with "0.4328) [1" verbatim.

File:
........
Record 1
Diffraction record for LaHoTm3Th. The powder X-ray diffraction pattern is simulated, not measured: it uses the PBE geometry in Alexandria and Cu Kα X-rays.

Cell and atoms:
Cell lengths 7.9470, 5.0451, 10.1015 Å; angles 90.00, 109.06, 90.00 degrees
Space group P2_1/m (No. 11)
Unique sites:
La (0.1689, 0.2500, 0.2922) [2 per cell]
Ho (0.4987, 0.2500, 0.6290) [2 per cell]
Tm (0.1695, 0.7500, 0.5448) [2 per cell]
Tm (0.1747, 0.7500, 0.0418) [2 per cell]
Tm (0.1763, 0.2500, 0.7937) [2 per cell]
Th (0.4981, 0.7500, 0.8785) [2 per cell]

Peak list (6 most intense, 10° ≤ 2θ ≤ 90°, by angle)
(hkl)	2θ/deg	d/Å	I_rel
2 1 -2	30.66	2.916	100
1 1 2	30.86	2.898	99
0 2 0	35.57	2.524	68
3 0 0	35.87	2.504	33
1 2 -4	51.19	1.785	24
1 3 2	61.03	1.518	29

---

Record 2
Diffraction record for LaHoThZn. The powder X-ray diffraction pattern is simulated, not measured: it uses the PBE geometry in Alexandria and Cu Kα X-rays.

Cell and atoms:
Cell lengths 3.6171, 3.6171, 8.6862 Å; angles 90.00, 90.00, 90.00 degrees
Space group P4mm (No. 99)
Unique sites:
La (0.0000, 0.0000, 0.0000) [1 per cell]
Ho (0.0000, 0.0000, 0.4328) [1 per cell]
Th (0.5000, 0.5000, 0.7088) [1 per cell]
Zn (0.5000, 0.5000, 0.2372) [1 per cell]

Peak list (6 most intense, 10° ≤ 2θ ≤ 90°, by angle)
(hkl)	2θ/deg	d/Å	I_rel
1 0 1	26.70	3.339	23
1 0 2	32.21	2.779	100
1 1 0	35.08	2.558	44
2 0 0	50.46	1.809	16
1 1 4	55.51	1.655	16
2 1 2	61.14	1.516	32

---

Record 3
Diffraction record for La3HoTl3. The powder X-ray diffraction pattern is simulated, not measured: it uses the PBE geometry in Alexandria and Cu Kα X-rays.

Cell and atoms:
Cell lengths 9.6895, 9.6895, 9.6895 Å; angles 90.00, 90.00, 90.00 degrees
Space group P2_13 (No. 198)
Unique sites:
La (0.0679, 0.4321, 0.5679) [4 per cell]
La (0.1695, 0.8305, 0.3305) [4 per cell]
La (0.1759, 0.1759, 0.1759) [4 per cell]
Ho (0.0761, 0.5761, 0.9239) [4 per cell]
Tl (0.0040, 0.2583, 0.8658) [12 per cell]

Peak list (6 most intense, 10° ≤ 2θ ≤ 90°, by angle)
(hkl)	2θ/deg	d/Å	I_rel
3 0 1	29.14	3.064	100
3 1 2	34.64	2.590	70
4 2 0	41.69	2.167	19
4 3 1	47.87	1.900	18
6 1 1	58.74	1.572	30
7 2 1	71.56	1.319	18

---

Record 4
Diffraction record for La2Ho3Tl4. The powder X-ray diffraction pattern is simulated, not measured: it uses the PBE geometry in Alexandria and Cu Kα X-rays.

Cell and atoms:
Cell lengths 7.1919, 16.9763, 9.1029 Å; angles 90.00, 90.00, 90.00 degrees
Space group Cmce (No. 64)
Unique sites:
La (0.0000, 0.1093, 0.0782) [8 per cell]
Ho (0.0000, 0.0000, 0.5000) [4 per cell]
Ho (0.2500, 0.2170, 0.7500) [8 per cell]
Tl (0.0000, 0.1831, 0.4573) [8 per cell]
Tl (0.2500, 0.0372, 0.7500) [8 per cell]

Peak list (6 most intense, 10° ≤ 2θ ≤ 90°, by angle)
(hkl)	2θ/deg	d/Å	I_rel
2 2 1	28.71	3.109	50
1 5 1	30.73	2.909	59
0 2 3	31.31	2.857	33
2 0 2	31.71	2.822	100
0 6 1	33.16	2.702	25
2 6 1	41.83	2.160	30
........

Solution:
Record 1
Diffraction record for LaHoTm3Th. The powder X-ray diffraction pattern is simulated, not measured: it uses the PBE geometry in Alexandria and Cu Kα X-rays.

Cell and atoms:
Cell lengths 7.9470, 5.0451, 10.1015 Å; angles 90.00, 109.06, 90.00 degrees
Space group P2_1/m (No. 11)
Unique sites:
La (0.1689, 0.2500, 0.2922) [2 per cell]
Ho (0.4987, 0.2500, 0.6290) [2 per cell]
Tm (0.1695, 0.7500, 0.5448) [2 per cell]
Tm (0.1747, 0.7500, 0.0418) [2 per cell]
Tm (0.1763, 0.2500, 0.7937) [2 per cell]
Th (0.4981, 0.7500, 0.8785) [2 per cell]

Peak list (6 most intense, 10° ≤ 2θ ≤ 90°, by angle)
(hkl)	2θ/deg	d/Å	I_rel
2 1 -2	30.66	2.916	100
1 1 2	30.86	2.898	99
0 2 0	35.57	2.524	68
3 0 0	35.87	2.504	33
1 2 -4	51.19	1.785	24
1 3 2	61.03	1.518	29

---

Record 2
Diffraction record for LaHoThZn. The powder X-ray diffraction pattern is simulated, not measured: it uses the PBE geometry in Alexandria and Cu Kα X-rays.

Cell and atoms:
Cell lengths 3.6171, 3.6171, 8.6862 Å; angles 90.00, 90.00, 90.00 degrees
Space group P4mm (No. 99)
Unique sites:
La (0.0000, 0.0000, 0.0000) [1 per cell]
Ho (0.0000, 0.0000, 0.4328) [1 per cell]